The Geocodes Working Group will meet May 1, May 6, and May 13.

A special water policy-related working group will conduct three meetings over the next four weeks to address issues related to the state water rights database. The Geocodes Working Group will meet May 1, May 6, and May 13. These meetings will either be Zoom video calls or phone conference calls.

The working group is reviewing an initial framework of 15 suggestions for improvements to how ownership updates are incorporated into the water rights database.

All meetings start at 10 a.m. These meetings are accessible to the public. The meetings will be streamed live on and broadcast on the Montana Public Affairs Network (MPAN). An archived recording of the meeting will also be made immediately available on

To participate, email with your name and a request, and you will be sent a calendar invite with instructions for joining and participating in the meeting by 5 p.m. the day before the call. Written comments may be emailed to staff and forwarded to the committee. Additional information on joining these meetings will be provided on the committee website,, and on the committee agenda.

The WPIC is led by Rep. Zach Brown, D-Bozeman, chairman, and Sen. Jeffrey Welborn, R-Dillon, vice-chairman. Other members of the committee are: Sen. Jill Cohenour (D-E. Helena), Sen. Bruce “Butch” Gillespie (R-Ethridge), Sen. Jon Sesso (D-Butte), Rep. Bob Brown (R-Thompson Falls), Rep. Carl Glimm (R-Kila), Rep. Bradley Maxon Hamlett (D-Cascade), Rep. Shane Morigeau (D-Missoula), and Rep. Walt Sales (R-Manhattan).

Members of the Geocodes Working Group include all committee members and Krista Lee Evans, Association of Gallatin Area Irrigator and Senior Water Rights Coalition; James Ferch, Department of Natural Resources and Conservation; Bill Gowen, Jr., Montana Land Title Association; Evan Hammer, Natural Resources Information Service; Kory Hofland, Department of Revenue; Hon. Russ McElyea, Montana Water Court; Regina Plettenberg, Montana Association of Clerks and Recorders; Shantil Siaperas, Montana Association of Counties; and Liane Taylor, Montana Association of Realtors. 

For more information on the committee's or working group's activities and meetings, including notice of the working group's April meeting, please visit the committee’s website or contact Jason Mohr, committee staff.

Committee Website:

Committee Staff: or 406-444-1640

Committee mailing address:

Water Policy Interim Committee

Capitol Building, room 171D

Unrelated to this page: records of crystals >
........
#w
Crystalline Ti2CoO5 at its relaxed geometry, computed with GGA+U.

a = 5.255 Å, b = 7.467 Å, c = 10.207 Å
α = 90.00°, β = 90.00°, γ = 69.81°
Fractional coordinates of all 32 atoms:
Ti: 0.300 0.433 0.432
O: 0.069 0.023 0.112
Ti: 0.800 0.933 0.432
O: 0.931 0.977 0.612
O: 0.822 0.607 0.750
Ti: 0.700 0.567 0.932
O: 0.069 0.023 0.388
O: 0.569 0.523 0.112
O: 0.971 0.657 0.061
Ti: 0.700 0.567 0.568
O: 0.471 0.157 0.439
O: 0.931 0.977 0.888
Ti: 0.200 0.067 0.932
Co: 0.715 0.905 0.750
O: 0.529 0.843 0.561
Ti: 0.300 0.433 0.068
O: 0.471 0.157 0.061
Co: 0.785 0.595 0.250
O: 0.431 0.477 0.612
O: 0.678 0.893 0.250
O: 0.431 0.477 0.888
O: 0.569 0.523 0.388
Ti: 0.200 0.067 0.568
O: 0.178 0.393 0.250
O: 0.529 0.843 0.939
O: 0.322 0.107 0.750
O: 0.029 0.343 0.939
Co: 0.285 0.095 0.250
O: 0.029 0.343 0.561
Ti: 0.800 0.933 0.068
O: 0.971 0.657 0.439
Co: 0.215 0.405 0.750

---

#x
Crystalline Ti2CoO5 at its relaxed geometry, computed with GGA+U.

## Properties
**SG**: No. 1
**M_tot**: 3.00 μB/f.u.
**Crystal system**: triclinic

a = 5.253 Å, b = 10.195 Å, c = 10.608 Å
α = 89.77°, β = 83.38°, γ = 89.86°
Fractional coordinates of all 48 atoms:
Ti: 0.000 0.000 0.000
Ti: 0.000 0.368 0.001
Ti: 0.228 0.885 0.242
Ti: 0.230 0.501 0.242
Ti: 0.339 0.367 0.670
Ti: 0.347 0.001 0.665
Ti: 0.557 0.868 0.909
Ti: 0.560 0.508 0.909
Ti: 0.683 0.362 0.337
Ti: 0.765 0.689 0.350
Ti: 0.894 0.879 0.576
Ti: 0.895 0.499 0.578
Co: 0.099 0.686 0.017
Co: 0.137 0.188 0.223
Co: 0.428 0.686 0.682
Co: 0.465 0.187 0.896
Co: 0.683 0.001 0.334
Co: 0.795 0.187 0.559
O: 0.032 0.325 0.612
O: 0.042 0.049 0.605
O: 0.053 0.680 0.220
O: 0.137 0.189 0.025
O: 0.190 0.550 0.632
O: 0.192 0.826 0.636
O: 0.257 0.383 0.852
O: 0.268 0.994 0.851
O: 0.313 0.505 0.063
O: 0.313 0.863 0.060
O: 0.354 0.044 0.272
O: 0.371 0.329 0.276
O: 0.424 0.685 0.879
O: 0.468 0.190 0.699
O: 0.530 0.808 0.303
O: 0.531 0.556 0.302
O: 0.585 0.375 0.518
O: 0.600 0.004 0.525
O: 0.639 0.498 0.724
O: 0.642 0.869 0.724
O: 0.696 0.326 0.947
O: 0.699 0.047 0.942
O: 0.738 0.685 0.536
O: 0.824 0.198 0.360
O: 0.865 0.549 0.963
O: 0.865 0.824 0.962
O: 0.929 0.383 0.183
O: 0.933 0.990 0.176
O: 0.965 0.500 0.392
O: 0.976 0.860 0.393

---

#w comes first in stability; the runner-up is 0.018 eV/atom higher.

---

#w
Crystalline V5CoO23 at its relaxed geometry, computed with GGA+U.

## Properties
**SG**: No. 2
**M_tot**: 6.00 μB/f.u.
**Crystal system**: triclinic

a = 8.632 Å, b = 10.546 Å, c = 10.857 Å
α = 69.02°, β = 71.99°, γ = 71.66°
Fractional coordinates of all 58 atoms:
V: 0.120 0.204 0.044
V: 0.143 0.275 0.300
V: 0.151 0.456 0.749
V: 0.179 0.511 0.014
V: 0.207 0.747 0.728
V: 0.793 0.253 0.272
V: 0.821 0.489 0.986
V: 0.849 0.544 0.251
V: 0.857 0.725 0.700
V: 0.880 0.796 0.956
Co: 0.278 0.724 0.294
Co: 0.722 0.276 0.706
O: 0.007 0.447 0.342
O: 0.013 0.651 0.092
O: 0.021 0.587 0.878
O: 0.045 0.797 0.630
O: 0.066 0.851 0.845
O: 0.111 0.657 0.374
O: 0.143 0.882 0.327
O: 0.215 0.088 0.963
O: 0.229 0.167 0.175
O: 0.235 0.796 0.091
........
Back to the page >

P.O. Box 201704

Helena, MT  59620-1704

The Legislative News.